Poker Series

Molecular data, as found in the file.
{
  "formula": "C3H9NSi",
  "method": "ωB97M-V with the def2-TZVPD basis set",
  "symbols": ["C", "C", "C", "N", "Si", "H", "H", "H", "H", "H", "H", "H", "H", "H"],
  "coordinates": [[-2.39, -0.53, 0.33], [-1.17, -1.05, 0.05], [-0.03, 1.34, 0.09], [0.36, 0.02, -0.29], [1.92, -0.61, 0.18], [-3.20, -1.21, 0.54], [-2.58, 0.58, 0.55], [-0.66, -2.07, 0.00], [0.73, 1.90, -0.30], [-1.00, 1.67, -0.25], [-0.20, 1.50, 1.24], [2.67, -0.26, 1.46], [1.96, -2.07, 0.07], [2.85, -0.06, -0.71]],
  "lowdin_spin": [0.1270, 0.5207, 0.0989, 0.9068, 0.1412, 0.0293, 0.0238, 0.0173, 0.0157, 0.0083, 0.0513, 0.0321, 0.0005, 0.0270],
  "e_above_lowest_kj_mol": 309.5,
  "homo_ev": [-4.67, -9.37],
  "spin_multiplicity": 3,
  "energy_ev": -12616.8440,
  "total_charge": 0
}

{
  "formula": "C3H9O",
  "method": "ωB97M-V with the def2-TZVPD basis set",
  "symbols": ["C", "H", "H", "H", "H", "C", "O", "C", "H", "H", "H", "H", "H"],
  "coordinates": [[-1.29, -0.56, 2.06], [-0.24, -0.65, 1.77], [-1.62, -1.58, 2.28], [-1.58, 0.14, 2.83], [-1.77, -0.32, 1.11], [0.26, -0.04, -0.88], [0.67, -1.25, -0.49], [1.38, 0.80, -1.64], [-0.62, -0.11, -1.58], [-0.10, 0.70, -0.11], [1.05, 1.59, -2.32], [1.95, 1.22, -0.81], [1.92, 0.05, -2.21]],
  "mulliken_charge": [-0.9394, 0.2365, 0.2601, 0.2545, 0.1922, -0.0234, -0.8650, -1.0880, 0.1217, 0.0759, 0.2907, 0.2298, 0.2543],
  "e_above_lowest_kj_mol": 34.7,
  "homo_ev": -2.20,
  "spin_multiplicity": 1,
  "energy_ev": -5303.5359,
  "total_charge": -1
}

{
  "formula": "C3H9O",
  "method": "ωB97M-V with the def2-TZVPD basis set",
  "symbols": ["C", "H", "H", "H", "H", "C", "O", "C", "H", "H", "H", "H", "H"],
  "coordinates": [[1.32, -0.13, 1.78], [1.50, -1.09, 2.24], [1.27, -0.23, 0.70], [1.94, 0.68, 2.17], [0.30, 0.13, 2.07], [-0.77, -0.71, -1.00], [-1.26, -1.07, 0.20], [-0.74, 0.84, -1.20], [-1.40, -1.10, -1.83], [0.23, -1.07, -1.39], [-1.35, 1.10, -2.08], [0.27, 1.27, -1.22], [-1.32, 1.38, -0.44]],
  "mulliken_charge": [-0.8787, 0.2465, 0.0693, 0.3075, 0.2500, -0.4842, -0.8829, -0.9091, 0.3027, 0.1587, 0.3834, 0.1971, 0.2398],
  "e_above_lowest_kj_mol": 54.1,
  "homo_ev": -2.01,
  "spin_multiplicity": 1,
  "energy_ev": -5303.3344,
  "total_charge": -1
}

{
  "formula": "C3H9O",
  "method": "ωB97M-V with the def2-TZVPD basis set",
  "symbols": ["O", "H", "C", "C", "C", "H", "H", "H", "H", "H", "H", "H", "H"],
  "coordinates": [[1.97, -1.17, 1.01], [2.82, -1.03, 1.46], [-0.78, -0.64, 0.44], [-0.25, 0.67, -0.18], [-1.09, 1.22, -1.33], [-1.73, -0.73, 0.75], [-0.26, -0.95, 1.32], [-0.67, -1.48, -0.22], [0.79, 0.35, -0.49], [-0.16, 1.45, 0.53], [-0.46, 1.68, -2.14], [-1.75, 0.47, -1.75], [-1.66, 2.13, -1.14]],
  "lowdin_spin": [0.9631, 0.0226, 0.0000, 0.0066, 0.0015, 0.0003, 0.0007, -0.0003, 0.0052, -0.0001, 0.0001, 0.0000, 0.0004],
  "e_above_lowest_kj_mol": 117.5,
  "homo_ev": [-10.89, -10.89],
  "spin_multiplicity": 2,
  "energy_ev": -5301.1295,
  "total_charge": 0
}

{
  "formula": "C3H9O2",
  "method": "ωB97M-V with the def2-TZVPD basis set",


Poker Club Sochi

At the height of spring, the Sochi Poker Club invites you to spend 11 unforgettable gaming days at the tables of the Sochi Poker Festival, the most popular Russian poker series.

The SPF’s spring stage includes over 50 events for its players: buy-ins range from c.u. 125 to c.u. 3,850, there are nearly thirty commemorative trophies for champions, half a dozen cool multi-day competitions and tens of millions of roubles in prize money!

Here are the key festival tournaments:

  • Magic Bounty: 20–22 April / c.u. 550 buy-in
  • Warm Up: 21–24 April / c.u. 880 buy-in
  • Main Event: 26–30 April / c.u. 1,100 buy-in
  • High Roller: 23–26 April / 2,200 buy-in
  • Super High Roller: 27–29 April / c.u. 3,850 buy-in

Our big media team will help Sochi Poker Club guests enjoy unforgettable emotions of participating in Russia’s top poker festival: a professional photographer will give free photos to everyone who would like one; those dying to learn what’s going on at the tables can follow a text broadcast, and lovers of TV poker will be treated to nearly a week of live broadcasts with cards face up!

Check out the complete SPF SPRING schedule below.


Using promotional code SPFSPR -15% discount on accommodation when booking on the website krasnayapolyanaresort.ru

The discount applies to the category of deluxe rooms, suites, apartments. For the β€œBest price of the day with breakfast” tariff.

  • The tariff is prepaid and non-refundable.
  • Period of stay 04/19/2024-04/30/2024
  • Booking period 03/01/2024-04/30/2024


Buy-in in casino chips 400 (355+45)
Stack 30 K
Levels 30 ΠΌΠΈΠ½
Late registration 15
Start blinds 100-100
Ѐишки Π·Π° Ρ‡Π°ΠΉ: 5K - 25
Buy-in in casino chips 125 (113+12)
Stack 10 K
Levels 15 ΠΌΠΈΠ½
Late registration 9
Start blinds 100-100
Ѐишки Π·Π° Ρ‡Π°ΠΉ: -
Buy-in in casino chips 125 (110+10+5)
Stack 10 K
Levels 10 ΠΌΠΈΠ½
Late registration 9
Start blinds 100-100
Ѐишки Π·Π° Ρ‡Π°ΠΉ: -
Buy-in in casino chips 550 (500+50)
Stack 20 K
Levels 25 ΠΌΠΈΠ½
Late registration 12
Start blinds 100-100
Ѐишки Π·Π° Ρ‡Π°ΠΉ: 5K - 50
Buy-in in casino chips 330 (300+30)
Stack 40 K
Levels 15 ΠΌΠΈΠ½
Late registration 11
Start blinds 100-300
Ѐишки Π·Π° Ρ‡Π°ΠΉ: 5K - 25

Get directions

Krasnaya Polyana Gambling Zone

We are 45 km from Sochi International Airport, a drive of 30–40 minutes. Take the E97 motorway towards Krasnaya Polyana and the Krasnaya Polyana resort. Follow the route for 42 km to the resort of Krasnaya Polyana. You may leave your car on the open unguarded parking lot. Parking fees for guests are charged at the rates of the Krasnaya Polyana resort.